First Link®
If you are newly diagnosed with dementia, First Link® can connect you to the help you need as soon as possible.

Contact our First Link® team for further information or call us in Huron 519-482-1482 | 1-800-561-5012 or Perth 519-271-1910 | 1-888-797-1882.
You can also learn more about First Link® through our downloadable brochure. Contact us to have a copy sent to you.
Why choose First Link®?
It can be difficult for individuals and families affected by dementia to ask for help.
Many families are told about the Alzheimer Society and dementia care services, but few make a phone call until a crisis occurs.
First Link® removes this barrier by ensuring that individuals and families are referred directly to First Link®-approved health services and information. This occurs at the time of diagnosis or as soon as possible after a diagnosis is made.
How does First Link® work?
The goal of First Link® is to ensure you have the right support and information, from the time of an initial diagnosis and throughout the progression of the disease.
When you give permission to your healthcare provider to share your information with our First Link® staff, we will contact you directly. You can also give us a call when you or your family feel comfortable.
This First Link® phone call connects you to local health services and resources that best suit your situation.
You will have access to Alzheimer Society programs and services to help you learn about dementia, talk about your concerns and live well with the disease.
Connecting with First Link® means you can:
- Receive one-on-one or group support
- Be referred to local healthcare providers and community services
- Meet other people in similar circumstances and exchange experiences
- Get help to plan your future
“I came to First Link® feeling afraid and alone dealing with my husband’s Pick’s Disease. But I have developed a feeling of gratitude and appreciation of what other caregivers are going through. I strongly recommend First Link to anyone unsure of how to handle Alzheimer’s or other dementias. It’s such a valuable learning tool.”
–Caregiver .
Who can refer me?
You can refer yourself to First Link®.
Your First Link® partners are people who work in the family practices, healthcare facilities, and community agencies close to you, including:
- Your family physician
- Geriatric specialists
- Nurses
- Social workers
- Occupational therapists
- Pharmacists
- Social service workers.
In Huron-Perth, you can also call the Community Support Services Network Central Intake number at 1-844-482-7800 to access all Community Support Service agencies including the Alzheimer Society that provide service to residents of Huron and Perth Counties. Here you will complete an intake that will be shared immediately with the Alzheimer Society Huron Perth.
**Next to the piece, the page also holds molecular data**
+++
# 1
DFT (ωB97M-V/def2-TZVPD) results for 10 unconnected molecules or ions with the total composition C34H85N17O10.

Summary:
* orbital gap: 8.66 eV
* SMILES: CC1(C)CCCC(C)(C)N1O.CC1(C)CCCC(C)(C)N1O.CC1(C)CCCC(C)(C)N1O.NC(N)=O.NC(N)=O.NC(N)=O.NC(N)=O.NC(N)=O.NC(N)=O.NC(N)=O
* total energy: -82443.887 eV
* HOMO energy: -8.6 eV

Geometry as ORCA input:
```
! wB97M-V def2-TZVPD RIJCOSX def2/J DEFGRID3
* xyz 0 1
O 5.20 0.82 2.94
H 1.31 0.16 -0.97
H -1.76 -2.26 -2.80
O -0.81 5.03 -6.13
C -0.47 1.28 -1.08
N -2.89 4.79 -5.25
N 5.04 0.28 1.63
H -1.91 -4.11 5.89
C 0.77 -3.90 -0.28
N -4.74 -2.44 1.95
H 4.45 0.46 3.44
H -1.14 -0.56 -1.99
C -1.64 -4.05 -0.71
C -2.26 -3.23 -2.92
H -1.37 6.88 0.22
H 2.12 -2.62 -2.14
C -1.40 -4.30 -2.22
H 3.37 2.35 1.02
H 3.90 0.21 -1.05
H 1.59 -4.13 0.39
H -4.29 6.56 -1.10
H 3.22 -3.90 -1.32
H -5.19 -2.46 1.04
H -1.56 -6.13 -3.55
H 0.26 -5.02 -4.01
H 2.30 -6.08 -0.98
H -5.59 0.71 -5.01
O 2.60 1.31 4.29
N -0.99 0.91 0.27
H 4.98 -3.08 2.23
H 4.30 2.98 -0.21
N 0.02 -4.02 -2.57
C 5.20 -1.72 0.27
H -2.13 2.52 -4.66
C 6.74 1.58 0.48
C -1.67 4.33 -5.60
C -1.68 -2.99 4.14
C -2.68 2.64 0.51
C -2.53 0.92 2.32
H -0.99 -0.94 -0.02
H 7.70 -0.99 1.13
H 7.44 0.83 0.11
C 1.51 -5.94 -1.72
H 2.87 -3.89 -3.00
H 1.68 0.19 1.51
H -1.43 -6.38 -1.83
O -4.53 2.65 -4.14
C -3.33 6.37 0.68
H 5.14 -2.08 3.66
H 1.52 1.86 -1.82
H 7.20 -2.39 1.99
O -2.16 -2.78 3.04
H 4.12 -1.85 0.20
H 7.07 1.97 1.44
C -0.92 0.47 -2.28
H -0.73 -2.09 5.75
H -3.57 0.86 -0.83
H 5.64 -2.72 0.20
H 3.19 4.72 1.71
H 0.76 -6.73 -1.60
H -2.51 6.94 -0.98
H 6.71 -0.76 -0.96
H -2.52 -4.67 -0.53
H -0.61 4.58 1.45
C 5.28 1.16 0.50
H -1.57 6.62 1.87
H -6.11 0.03 -3.47
H -5.64 1.03 -1.74
N 2.33 0.30 2.27
O -0.56 -0.40 0.66
H 0.19 1.36 4.34
H -3.77 -2.62 2.18
O -4.28 6.17 1.39
N -1.95 -4.07 4.89
H -3.19 5.74 -5.42
O 0.22 -4.06 -3.96
H -2.95 -5.76 -2.51
H 1.99 -6.13 -2.68
H -0.87 -4.21 1.24
N -5.52 0.64 -4.01
N -1.45 3.10 -5.13
C -3.45 0.28 0.09
N -5.07 -1.92 4.10
C 4.42 2.46 0.74
C 4.80 -2.08 2.62
H -2.49 -4.71 4.32
H -2.30 1.85 2.83
H -3.48 0.56 2.70
C 5.57 -1.11 1.66
N -1.96 6.53 0.95
H 0.06 3.35 2.49
C -2.34 1.11 0.72
O -6.84 -2.09 2.69
C 1.14 -4.46 -1.73
C -5.63 -2.08 2.87
C 5.64 -0.92 -0.89
H 4.91 2.98 1.56
H -4.38 0.47 0.62
C 7.04 -1.31 1.94
H 5.24 0.95 -1.72
H -3.76 2.75 0.58
H -3.41 4.06 -4.80
H -1.84 -3.01 -0.42
H -2.58 4.19 -0.94
H -1.89 0.87 -2.59
H -0.57 -1.34 4.18
C -0.91 2.76 -1.31
H -5.23 2.76 -1.63
O 1.24 5.79 0.79
H -0.28 3.41 -0.71
N 0.55 0.85 3.54
H -2.20 -3.14 -4.01
C 4.94 0.44 -0.80
H 6.80 2.29 -0.35
H 0.62 -2.83 -0.42
C -5.13 1.81 -3.48
H -3.13 -0.69 -0.28
H -2.96 2.71 -1.71
H 2.27 3.61 2.80
H -4.11 -1.61 4.16
C -0.54 -4.53 0.25
C -1.87 -5.72 -2.59
C 2.43 -3.66 -2.03
N -5.35 1.90 -2.13
H 3.71 -2.00 2.56
H -0.62 2.60 -5.40
H 1.38 1.65 -0.12
H -5.72 -1.93 4.86
C 1.06 1.22 -1.07
H -3.29 -3.12 -2.59
C 1.29 4.85 1.57
H -0.45 -5.62 0.34
H 7.32 -0.75 2.83
H -0.07 0.66 2.76
H -0.25 0.34 -3.12
H 3.35 0.45 2.17
C 1.89 0.95 3.35
H -1.76 0.33 2.83
N -3.40 6.64 -0.63
+++
How do I get a referral?
Talk to your doctor about First Link®.
If you need more help, contact us and we can help you take your first steps in getting a referral through First Link®. Call us in Huron 1-800-561-5012 or Perth 1-888-797-1882 or email us at
Referral Forms
If you are a Healthcare professional and would like to make a referral, please:
- Ask your patient or their family member’s permission to forward their name to the Alzheimer Society.
- Then, fill out the First Link® Referral Form and return it to the Alzheimer Society Huron Perth. Find out more about our First Link® Program here.
Referral process for Healthcare Professionals
First Link® is a referral program that helps you as a healthcare provider* connect a person living with dementia to their local Alzheimer Society, from the time of diagnosis and throughout the duration of their experience living with the disease.
That way, people living with dementia and their families receive education and support in their community as early as possible.
*First Link® partners include family physicians, geriatric specialists, nurses, social workers, occupational therapists, pharmacists, and social service workers, amongst others, who work in family practice, healthcare facilities, and community agency settings.
To make a referral through First Link®:
- Ask your patient or their family member’s permission to forward his or her name to their local Alzheimer Society.
- Then, fill out the Referral Form.
- Complete the First Link® referral form and return it back to your local Society.
What happens after the referral is made?
Once the referral is made, a First Link Care Navigator from your local Alzheimer Society will contact the person living with dementia and family members, linking them to programs and services within their community.
Connecting to support and information in the early stages of the disease is important. Through the support provided by First Link®, you won't have to face your journey alone.
More useful links and resources
First Link® … your first step to living well with dementia. Alzheimer Society of Canada. This downloadable brochure gives an overview of how First Link® can connect people living with dementia to programs and services in their community.
First Link® evaluation project: Final evaluation report. Carrie A. McAiney, PhD; Loretta M. Hillier, MA; and Paul Stolee, PhD; 2010. This report, submitted to the Alzheimer Society of Ontario, evaluates the effects of the First Link® program based on the first years.
Resources for people with dementia: The Alzheimer Society and beyond. Christopher Frank, MD, FCFP; Sid Feldman MD, FCFP; and Mary Schulz, MSW; 2011. This clinical review discusses the benefits of referring people with dementia and caregivers to the Alzheimer Society.
(Records of molecules from another source follow)
<<<
[1]
Entry from the OMol25 dataset: a molecular structure, C18H9F7NRhS (ωB97M-V/def2-TZVPD).

Properties
HOMO-LUMO gap (spin up / spin down): 0.248 / 0.248 Ha
Electronic energy: -1953.8048 Ha
HOMO energy (spin up / spin down): -7.74 / -7.74 eV
ΔE to the lowest compared entry with this formula, charge and spin: 0.894 eV

Last column: Löwdin charge in e.
Geometry (Å):
C (-3.787694, 1.710397, -1.594024)  -0.1421
N (1.931673, -0.078169, 0.557046)  -0.0371
C (4.379111, -0.528235, 1.736518)  -0.0435
C (-0.734943, -4.134381, -0.083932)  -0.0852
S (-0.622761, 1.859384, 0.936216)  0.7334
C (1.424978, -3.717429, 0.886035)  -0.0360
F (-5.642166, 3.135042, -1.884327)  0.1304
C (0.131688, -1.876001, -0.068977)  -0.1653
Rh (0.173882, 0.178397, -0.412484)  0.8100
C (1.286160, -2.370800, 0.565114)  -0.2083
F (0.624052, 0.979160, -2.901960)  -0.0453
C (2.749431, 0.942084, 0.834392)  -0.1124
F (-4.717364, 4.768432, 0.080481)  0.1303
C (-2.096800, 2.248542, 0.084554)  -0.5074
H (5.343677, -0.709656, 2.191009)  0.1145
H (-1.768640, -2.450333, -0.900762)  0.0909
C (-2.613976, 1.443315, -0.920318)  -0.1995
H (0.499765, -5.645838, 0.803018)  0.1031
C (-0.867819, -2.787662, -0.398941)  -0.1050
C (0.405630, -4.596139, 0.557043)  -0.0828
F (-2.423075, 4.206656, 1.356933)  0.0943
F (-0.015364, 2.802729, -1.913276)  -0.0224
C (-2.846552, 3.379144, 0.400378)  -0.2354
C (3.981370, 0.761735, 1.428082)  -0.0441
F (-1.921156, 0.317717, -1.291865)  -0.0016
H (2.308626, -4.090186, 1.388420)  0.1019
C (-4.031210, 3.676012, -0.248504)  -0.1376
H (-1.523253, -4.831952, -0.337731)  0.1027
H (2.375908, 1.924106, 0.580442)  0.0994
H (1.765353, 1.980325, -1.610653)  0.0975
C (2.291369, -1.348500, 0.881349)  -0.1875
C (-4.507957, 2.843804, -1.251733)  -0.1356
H (3.817314, -2.596702, 1.703676)  0.1102
H (4.606677, 1.616353, 1.639041)  0.1114
C (3.529414, -1.583610, 1.465541)  0.0051
F (-4.221474, 0.898765, -2.555784)  0.1326
C (0.716127, 1.673493, -1.700019)  -0.4336

Atoms 1-6, force components in eV/Å:
C 0.017 0.071 0.074
N 0.029 -0.109 -0.159
C 0.005 -0.063 0.015
C -0.056 -0.027 -0.008
S 0.285 0.067 -0.041
C -0.009 0.071 -0.028

[2]
Entry from the OMol25 dataset: a single C19H12Br4O7 molecule (ωB97M-V/def2-TZVPD).

Properties
SMILES: COC(=O)/C(C(=O)c1cc(Br)c(O)c(Br)c1)=C(\C(=O)OC)c1cc(Br)c(O)c(Br)c1
HOMO-LUMO gap: 0.317 Ha
Electronic energy: -11553.9536 Ha
HOMO energy: -9.20 eV
ΔE to the lowest compared entry with this formula, charge and spin: 0.000 eV

Last column: Löwdin charge in e.
Geometry (Å):
C (1.720668, -0.139545, -2.495109)  -0.5709
O (5.038887, 2.076211, 2.958727)  0.0029
C (-1.994377, -2.734512, 2.934758)  -0.0464
H (-1.159995, -3.104863, 3.515889)  0.0903
O (-3.197341, 0.800178, 1.142895)  0.1279
O (-0.698279, -0.641449, 3.965236)  0.1331
H (0.496613, 2.920590, 2.698523)  0.1184
O (-1.570526, -1.656075, 2.103801)  -0.0336
H (3.485813, -0.590429, -4.007667)  0.0258
C (0.738057, 1.542125, -1.049173)  -0.1291
H (-4.194822, -0.941806, -0.780504)  0.0945
>>>
(The text goes on)
‘Throwing a lifeline’: The role of First Link™ in enhancing support for individuals with dementia and their caregivers. Carrie A. McAiney, PhD; Loretta M. Hillier, MA; Paul Stolee, PhD; David Harvey, Joanne Michael; 2012. This research article further examines how First Link® has helped people living with dementia and caregivers in the provinces of Ontario and Saskatchewan.